
I was thinking more about the susceptibility to memes involving woo and/or pseudo-science. Religion being the one of the most powerful and enduring memes, I'm just wondering aloud if that would correlate to being more susceptible to accepting more of them. Because, frankly, virtually every religious person I

That is entirely possible, even likely. Haters always complain the most loudly.

Idiot is ableist, so if you want to avoid having that conversation everyday for the rest of your life, go with condesplain.

.... why couldn't they do both?

Irregardless, people use it cromunlently.

It makes you wonder what the correlation between religious belief and astrology is. Well, it makes ME wonder. Because if you believe in one silly thing, why not the rest? Do astrology-believers believe in leprechauns too? How about Bigfoot?

Do you reeeeallly need "proof" that prejudice hampers interpersonal relationships?

No Thru Traffic.

My last fortune cookie said "You will be hungry again in one hour" And I was! This conclusively proves that fortune cookies predict the future!

All I'm saying is, he's a passive aggressive whiner. Yeah, she wasn't sweet as pie, pliant and docile. Clearly, he wanted to stick it to her, just not to her face. it's cowardly. And def not going to help him if he ever has to interview her again.

**Misplaced materials data**
┌──
This record from Alexandria describes a relaxed structure of Sc4CoCu2Pd. The functional is PBE-GGA.

Results
The formation energy is -0.453 eV/atom. The density of states at the Fermi level comes out at 5.96 states/eV/cell. The mass density is 5.76 g cm⁻³. The uncorrected energy is -6.1805 eV per atom. The calculation puts the size of the total moment at 0.00 μB per atom.

abc: 4.5840 4.5840 7.9332
angles: 73.21 73.21 60.00
Last column: nearest neighbours and their distance in Å.
Element x y z (fractional)
Cu 0.7499 0.7499 0.7504  8 Sc 2.72-2.90
Cu 0.2501 0.2501 0.2496  8 Sc 2.72-2.90
Co 0.5000 0.5000 0.5000  8 Sc 2.71-2.78
Sc 0.1288 0.1288 0.6136  4 Cu 2.72-2.84, 3 Co 2.78, 1 Pd 2.89
Sc 0.8712 0.8712 0.3864  4 Cu 2.72-2.84, 3 Co 2.78, 1 Pd 2.89
Sc 0.6206 0.6206 0.1381  1 Co 2.71, 4 Cu 2.77-2.90, 3 Pd 2.84
Sc 0.3794 0.3794 0.8619  1 Co 2.71, 4 Cu 2.77-2.90, 3 Pd 2.84
Pd 0.0000 0.0000 0.0000  8 Sc 2.84-2.89

---

This record from Alexandria describes a relaxed structure of Ca6Pb3F. The functional is PBE-GGA.

Results
The density of states at the Fermi level comes out at 9.85 states/eV/cell. The mass density is 4.32 g cm⁻³. The uncorrected energy is -3.4151 eV per atom. The calculation puts the size of the total moment at 0.00 μB per atom.

abc: 7.3144 9.8745 9.8745
angles: 108.20 90.00 90.00
Last column: nearest neighbours and their distance in Å.
Element x y z (fractional)
Ca 0.7036 0.3118 0.3492  4 Pb 3.20-3.32
Ca 0.7036 0.6508 0.6882  4 Pb 3.20-3.32
Ca 0.2036 0.3492 0.3118  4 Pb 3.20-3.32
Ca 0.6902 0.5757 0.1080  1 F 2.42
Ca 0.1902 0.1080 0.5757  1 F 2.42
Ca 0.7033 0.2441 0.7559  1 F 2.37
Ca 0.2036 0.6882 0.6508  4 Pb 3.20-3.32
Ca 0.6902 0.8920 0.4243  1 F 2.42
Ca 0.2033 0.7559 0.2441  1 F 2.37
Ca 0.5999 0.9424 0.0576  1 F 2.47
Ca 0.0999 0.0576 0.9424  1 F 2.47
Ca 0.1902 0.4243 0.8920  1 F 2.42
Pb 0.9795 0.7328 0.9535  7 Ca 3.20-3.42
Pb 0.4182 0.3925 0.6075  7 Ca 3.16-3.22
Pb 0.4795 0.9535 0.7328  7 Ca 3.20-3.42
Pb 0.9182 0.6075 0.3925  7 Ca 3.16-3.22
Pb 0.4795 0.2672 0.0465  7 Ca 3.20-3.42
Pb 0.9795 0.0465 0.2672  7 Ca 3.20-3.42
F 0.5173 0.7927 0.2073  4 Ca 2.37-2.47
F 0.0173 0.2073 0.7927  4 Ca 2.37-2.47

---

This record from Alexandria describes a relaxed structure of SrPF. The functional is PBE-GGA.

Results
The density of states at the Fermi level comes out at 0.52 states/eV/cell. As for the excess energy over the best structure of this formula in the dataset: 139 meV per atom. The mass density is 3.48 g cm⁻³. The uncorrected energy is -5.1820 eV per atom. The calculation puts the size of the total moment at 0.00 μB per atom.

abc: 6.8171 3.5384 10.9342
angles: 90.00 94.64 90.00
Last column: nearest neighbours and their distance in Å.
Element x y z (fractional)
F 0.7732 0.5000 0.7687  4 Sr 2.52-2.56
F 0.8576 0.5000 0.0526  3 Sr 2.40-2.49
F 0.8576 0.0000 0.5526  3 Sr 2.40-2.49
F 0.7732 0.0000 0.2687  4 Sr 2.52-2.56
P 0.4445 0.5000 0.4294  2 P 2.28
P 0.2869 0.5000 0.8329  2 P 2.28
P 0.4445 0.0000 0.9294  2 P 2.28
└──

A good point. I'm not a millionare, so I kinda have to be nice to the morons I represent. (I mean fucking seriously, who gets themselves deliberately arrested the night before depositions? and then whines about how long their case is taking) AUDRASMASH. Apparently, she can afford to be.

Agreed on the that's her job part. But, I have some personal experience with being asked the same questions over and over and over again at work (everyone hates lawyers til they need one, then they never leave us alone), and I gotta say I empathize with her. It is goddamn painfully, face-smashingly, gobsmacking

I'll get the Cheetos, you get the chainsaw.

It's not a goddamn generalization. It's descriptive of a very specific circumstance between some men and a whole lot of women. Stop trying to jam your foot in the glass slipper if it don't fit.

_Materials data, kept here for reference_
'''
(a)
# TbSm4Y3 (PBE, relaxed)
data_TbSm4Y3
_chemical_formula_sum 'Tb2 Sm8 Y6'
_space_group_name_H-M_alt 'P 1'
_space_group_IT_number 1
_cell_length_a 6.339
_cell_length_b 7.336
_cell_length_c 11.499
_cell_angle_alpha 90.00
_cell_angle_beta 90.00
_cell_angle_gamma 90.00
loop_
_space_group_symop_operation_xyz
'x,y,z'
loop_
_atom_site_label
_atom_site_fract_x
_atom_site_fract_y
_atom_site_fract_z
_atom_site_occupancy
Tb1 0.147 0.375 0.000 1
Tb2 0.647 0.625 0.500 1
Sm1 0.149 0.874 0.000 1
Sm2 0.650 0.126 0.000 1
Sm3 0.980 0.126 0.250 1
Sm4 0.480 0.874 0.250 1
Sm5 0.150 0.874 0.500 1
Sm6 0.649 0.126 0.500 1
Sm7 0.480 0.874 0.750 1
Sm8 0.980 0.126 0.750 1
Y1 0.647 0.623 0.000 1
Y2 0.981 0.624 0.250 1
Y3 0.481 0.376 0.250 1
Y4 0.147 0.377 0.500 1
Y5 0.481 0.376 0.750 1
Y6 0.981 0.624 0.750 1
# Calculated volume in Å³/cell: 535

***

(b)
# TbSm4Y3 (PBE, relaxed)
data_TbSm4Y3
_chemical_formula_sum 'Tb1 Sm4 Y3'
_space_group_name_H-M_alt 'P 1'
_space_group_IT_number 1
_cell_length_a 3.488
_cell_length_b 6.801
_cell_length_c 11.949
_cell_angle_alpha 106.31
_cell_angle_beta 98.39
_cell_angle_gamma 90.00
loop_
_space_group_symop_operation_xyz
'x,y,z'
loop_
_atom_site_label
_atom_site_fract_x
_atom_site_fract_y
_atom_site_fract_z
_atom_site_occupancy
Y1 0.000 0.500 0.000 1
Y2 0.124 0.882 0.248 1
Y3 0.876 0.118 0.752 1
Tb1 0.500 0.000 0.000 1
Sm1 0.740 0.240 0.480 1
Sm2 0.260 0.760 0.520 1
Sm3 0.124 0.369 0.248 1
Sm4 0.876 0.631 0.752 1
# Calculated volume in Å³/cell: 269

***

The most stable arrangement is (a), and the next structure is 14.5 kJ/mol of atoms less stable.

***

(a)
# Tb3SmY6 (PBE, relaxed)
data_Tb3SmY6
_chemical_formula_sum 'Tb6 Sm2 Y12'
_space_group_name_H-M_alt 'P 1'
_space_group_IT_number 1
_cell_length_a 6.417
_cell_length_b 11.588
_cell_length_c 11.588
_cell_angle_alpha 130.73
_cell_angle_beta 90.00
_cell_angle_gamma 90.00
loop_
_space_group_symop_operation_xyz
'x,y,z'
loop_
_atom_site_label
_atom_site_fract_x
_atom_site_fract_y
_atom_site_fract_z
_atom_site_occupancy
Tb1 0.486 0.959 0.703 1
Tb2 0.986 0.703 0.959 1
Tb3 0.096 0.419 0.581 1
Tb4 0.596 0.581 0.419 1
Tb5 0.986 0.041 0.297 1
Tb6 0.486 0.297 0.041 1
Sm1 0.013 0.161 0.839 1
Sm2 0.513 0.839 0.161 1
Y1 0.071 0.741 0.621 1
Y2 0.571 0.621 0.741 1
Y3 0.329 0.458 0.894 1
Y4 0.829 0.894 0.458 1
Y5 0.315 0.985 0.015 1
Y6 0.790 0.302 0.698 1
Y7 0.290 0.698 0.302 1
Y8 0.815 0.015 0.985 1
Y9 0.329 0.106 0.542 1
Y10 0.829 0.542 0.106 1
Y11 0.071 0.379 0.259 1
Y12 0.571 0.259 0.379 1
# Calculated volume in Å³/cell: 653

***

(b)
# Tb3SmY6 (PBE, relaxed)
data_Tb3SmY6
_chemical_formula_sum 'Tb6 Sm2 Y12'
_space_group_name_H-M_alt 'P 1'
_space_group_IT_number 1
_cell_length_a 6.280
_cell_length_b 10.974
_cell_length_c 10.974
_cell_angle_alpha 119.68
_cell_angle_beta 90.00
_cell_angle_gamma 90.00
loop_
_space_group_symop_operation_xyz
'x,y,z'
loop_
_atom_site_label
_atom_site_fract_x
_atom_site_fract_y
_atom_site_fract_z
_atom_site_occupancy
Tb1 0.454 0.937 0.717 1
Tb2 0.954 0.717 0.937 1
'''

the term is more specific than "man says something stupid". It's not even about men being stupid, just oblivious and clueless in a specific circumstance. I.e. talking to or about women as if he's an expert on something that he either a) has no experience with or b) she knows much better than he does. But, he

me too. I've had a long term crush on her.

None. It's pretty clear he was phoning it in and she got sick of it.

Hipsters are EVERYWHERE. *cue doom music*

lol right? cuz THAT's definitely not going to piss her off.

Well, YEAH, I mean who else would know how to clean up frequent hall poopage better?